US, 1990, 97 minutes, Colour.
Robin Williams, Tim Robbins, Pamela Reed, Fran Drescher, Annabella Sciorra, Paul Guilfoyle, Zack Norman, Lori Petty.
Directed by Roger Donaldson.
Cadillac Man was co-written and directed by Australian Roger Donaldson. Donaldson made an impressions with his two New Zealand films, Sleeping Dogs and Smash Palace. In the United States he made The Bounty, Marie, the excellent thriller No Way Out, Cocktail.
Donaldson said that he drew on his home and family experience of his Father as a car salesman. However, while the film focuses on the brash American salesman, it changes in the middle into the story of a siege and the salesman having to become more human in trying to stop the siege and communicate with the disturbed man holding customers and staff as hostage. It all seems loud and exaggerated, but in New York .... ?
Robin Williams gives yet another good performance (after his Dead Poet's Society and Good Morning, Vietnam). This is true, especially as he changes and copes during the siege. Tim Robbins has appeared in such films as Bull Durham, Miss Firecracker, and Erik the Viking.
1. The impact of this black comedy? on American audiences? Universal audiences?
2. The New York setting, Queens, the streets, homes, the salesroom? The musical score?
3. The credibility of the plot: the focus on the salesman and his brash behaviour? The customers and the sales personnel? Larry and his obsessions and taking hostages and the siege?
4. The title, salesmen and their reputation? Audience expectations?
5. Robin Williams' screen presence? and his comic stand-up style? Suitable for Joe O'Brien (with his Italian background)? The Italian mother and her spoiling her son, the food, swearing at him, interfering in his life? Intervening at the siege? His talking to the audience and explaining his motivation, loving sales? His relationship with Tina and the break-up of the marriage? relationship with Lisa and behind on the alimony, Lisa and her eccentricities? Relationships with women and love of women? Joy and her possessiveness? His need for borrowing money and repayment? the initial funeral, helping with the hearse, the deal with the hearse driver and trying to deal with him, the decision to sell a car to the widow - his estimation of himself, nothing to lose, her condemning him as scum?
6. Joy and Harry and their tense marriage, Joy and her hovering round Joey? her wanting him to buy her pottery, the expense? (And his doing a deal with salesman?) The plan of going away with Joy? Lisa and going to the disco, her designing her own clothes, wanting to he photographed, the irony of her not being allowed in?
**The entry is interrupted by crystal structures:**
- - -
# TbErNi4, optimized geometry, DFT PBE
data_TbErNi4
_space_group_name_H-M_alt 'F -4 3 m'
_space_group_IT_number 216
_space_group_name_Hall 'F -4 2 3'
_cell_length_a 7.1518
_cell_length_b 7.1518
_cell_length_c 7.1518
_cell_angle_alpha 90.00
_cell_angle_beta 90.00
_cell_angle_gamma 90.00
loop_
_atom_site_label
_atom_site_type_symbol
_atom_site_fract_x
_atom_site_fract_y
_atom_site_fract_z
_atom_site_occupancy
Tb1 Tb 0.0000 0.0000 0.0000 1
Er1 Er 0.2500 0.2500 0.7500 1
Ni1 Ni 0.1247 0.1247 0.3753 1
# D(E_F) ... 13.2 states/eV per cell
# DFT total energy ... -140.238 eV/cell
# Energy relative to the elements ... -456.8 meV per atom

# NdTl2RhO6, optimized geometry, DFT PBE
data_NdTl2RhO6
_space_group_name_H-M_alt 'R 3'
_space_group_IT_number 146
_space_group_name_Hall 'R 3'
_cell_length_a 5.7657
_cell_length_b 5.7657
_cell_length_c 15.1390
_cell_angle_alpha 90.00
_cell_angle_beta 90.00
_cell_angle_gamma 120.00
loop_
_atom_site_label
_atom_site_type_symbol
_atom_site_fract_x
_atom_site_fract_y
_atom_site_fract_z
_atom_site_occupancy
Nd1 Nd 0.0000 0.0000 0.0000 1
Tl1 Tl 0.0000 0.0000 0.2611 1
Tl2 Tl 0.0000 0.0000 0.7818 1
Rh1 Rh 0.0000 0.0000 0.4876 1
O1 O 0.0133 0.3940 0.2270 1
O2 O 0.0662 0.6845 0.0729 1
# D(E_F) ... 13.9 states/eV per cell
# DFT total energy ... -179.056 eV/cell
# Uncorrected formation energy ... -1308 meV per atom

# BaTaHg2, optimized geometry, DFT PBE
data_BaTaHg2
_space_group_name_H-M_alt 'C m m m'
_space_group_IT_number 65
_space_group_name_Hall '-C 2 2'
_cell_length_a 7.1956
_cell_length_b 8.8243
_cell_length_c 3.1775
_cell_angle_alpha 90.00
_cell_angle_beta 90.00
_cell_angle_gamma 90.00
loop_
_atom_site_label
_atom_site_type_symbol
_atom_site_fract_x
_atom_site_fract_y
_atom_site_fract_z
_atom_site_occupancy
Ba1 Ba 0.0000 0.0000 0.0000 1
Ta1 Ta 0.0000 0.5000 0.0000 1
Hg1 Hg 0.2500 0.2500 0.5000 1
# D(E_F) ... 7.1 states/eV per cell
# DFT total energy ... -24.824 eV/cell
# Energy relative to the elements ... 491.8 meV per atom

# CaY4Te6, optimized geometry, DFT PBE
data_CaY4Te6
_space_group_name_H-M_alt 'C m c m'
_space_group_IT_number 63
_space_group_name_Hall '-C 2c 2'
_cell_length_a 4.3388
_cell_length_b 14.3399
_cell_length_c 22.5102
_cell_angle_alpha 90.00
_cell_angle_beta 90.00
_cell_angle_gamma 90.00
loop_
_atom_site_label
_atom_site_type_symbol
_atom_site_fract_x
_atom_site_fract_y
_atom_site_fract_z
_atom_site_occupancy
Ca1 Ca 0.0000 0.1591 0.2500 1
Y1 Y 0.0000 0.0885 0.6280 1
Y2 Y 0.0000 0.3587 0.5376 1
Te1 Te 0.0000 0.0000 0.0000 1
Te2 Te 0.0000 0.1813 0.7500 1
Te3 Te 0.0000 0.2698 0.0893 1
Te4 Te 0.0000 0.4481 0.6631 1
# D(E_F) ... 15.3 states/eV per cell
# DFT total energy ... -249.501 eV/cell
# Uncorrected formation energy ... -1424 meV per atom

# Ca2PmBiO6, optimized geometry, DFT PBE
data_Ca2PmBiO6
_space_group_name_H-M_alt 'R 3'
_space_group_IT_number 146
_space_group_name_Hall 'R 3'
_cell_length_a 5.8798
_cell_length_b 5.8798
_cell_length_c 15.3155
_cell_angle_alpha 90.00
_cell_angle_beta 90.00
- - -
7. Joey and his job, the possibility of his losing his job, the son and his father and their pressure on Joey to sell 12 cars? His powers of persuasion? The phone calls and pleading? The Mafia man and the lending of the money, looking after his son at the service station - and trying to get some of the Mafia to buy the cars? The visit to Tina and trying to get her brother interested? His relationship with people at the showroom? Friendship with Donna? The busy saleswoman and the rivalry? Friendship with Ben? The arrival of the customers, the pressure? Harry and Joy and his trying to attend to them? The Chinese couple? The Russian couple and their pressure and demands? Relaxing and having the meal at the Chinese shop - and the girl bossing them about? His dubious future - and the selling of the cars?
8. Larry and his first visit to Donna, on the bike? Audience wondering about him? His coming again, crashing through the door? The attack? Threatening with explosives on his bike? Starting the siege, firing the shots? His madness? Unemployed, macho presuppositions? Despising of Donna and his abusing her? His raving? Treatment of the hostages? Letting the women go? Attitudes towards the men? The police and the contact? His not having thought things out? The credibility of his behaviour?
9. His demands to know the relationship of Donna in the showroom? Joey and his deciding to take a stand. Carry's response? His suspicions of Joey? Watching peoples reactions?
Coping, noticing Joey and his powers of persuasion, salesmanship? Letting Larry think it was his plan, getting him a name for contact with the police? Letting the women go? Gradually letting the men go? Harry and his promising Larry money? Enid and her bursting in and exposing Joey? Tina and her phone call? His mother on the phone? Larry's reaction to Joey with all the women? Joey and his telling Larry the story, developing the plan, persuading him to give himself up, the gun, the bullets? Persuading Harry that he should plead craziness? The build-up to going out?
10. The police and their reaction? Mason and the special squad? Control - and all the comedy in the Chinese restaurant? Lisa and her getting in, having to he taken out? Tina and her advice?
11. Joey and his relationship with Tina, their clashes, the visit, jokes, the concern about Lisa? Lisa and her boyfriend and being out all night? Tina and her support of Joey? The ending and their coming together, Lisa turning up with the boyfriend? Joey asking for another chance?
What comes next are data records, not part of the page =
____________
No. 1
The following is a GGA+U calculation of a relaxed structure of LiMn2AgF6, from the Alexandria database.

Unit cell a=5.8632 b=5.8632 c=5.8632 alpha=56.90 beta=56.90 gamma=56.90
Closest atoms and distances in Å follow each position.
Positions (direct):
1 Li 0.0000 0.0000 0.0000  6 F 2.08-2.19
2 Mn 0.2063 0.2063 0.2063  6 F 2.13-2.19
3 Mn 0.6926 0.6926 0.6926  6 F 2.13-2.17
4 Ag 0.4665 0.4665 0.4665  3 F 2.33
5 F 0.0395 0.4119 0.8579  2 Mn 2.13-2.19, 1 Li 2.19, 1 Ag 2.33
6 F 0.2912 0.9425 0.6024  1 Li 2.08, 2 Mn 2.13-2.17
7 F 0.4119 0.8579 0.0395  2 Mn 2.13-2.19, 1 Li 2.19, 1 Ag 2.33
8 F 0.6024 0.2912 0.9425  1 Li 2.08, 2 Mn 2.13-2.17
9 F 0.8579 0.0395 0.4119  2 Mn 2.13-2.19, 1 Li 2.19, 1 Ag 2.33
10 F 0.9425 0.6024 0.2912  1 Li 2.08, 2 Mn 2.13-2.17

Computed properties:
**Uncorrected energy**: -5.465 eV per atom
**SG**: No. 146
**Magnetization**: 1.00 μB per atom

No. 2
The following is a GGA+U calculation of a relaxed structure of LiMnAg2F6, from the Alexandria database.

Unit cell a=5.7225 b=5.6439 c=9.6686 alpha=90.00 beta=124.99 gamma=90.00
Closest atoms and distances in Å follow each position.
Positions (direct):
1 Li 0.0000 0.0000 0.0000  6 F 1.99-2.21
2 Li 0.0000 0.5000 0.5000  6 F 1.99-2.21
3 Mn 0.5000 0.0000 0.5000  6 F 1.91-2.13
4 Mn 0.5000 0.5000 0.0000  6 F 1.91-2.13
5 Ag 0.2339 0.0278 0.7421  5 F 2.42-2.64
6 Ag 0.2339 0.4722 0.2421  5 F 2.42-2.64
7 Ag 0.7661 0.5278 0.7579  5 F 2.42-2.64
8 Ag 0.7661 0.9722 0.2579  5 F 2.42-2.64
9 F 0.1657 0.2111 0.4696  1 Li 1.99, 1 Mn 2.13
10 F 0.1657 0.2889 0.9696  1 Li 1.99, 1 Mn 2.13
11 F 0.2873 0.7200 0.4702  1 Mn 1.91
12 F 0.2873 0.7800 0.9702  1 Mn 1.91
13 F 0.3233 0.0162 0.2628  1 Mn 1.91, 1 Li 2.12
14 F 0.3233 0.4838 0.7628  1 Mn 1.91, 1 Li 2.12
15 F 0.6767 0.5162 0.2372  1 Mn 1.91, 1 Li 2.12
16 F 0.6767 0.9838 0.7372  1 Mn 1.91, 1 Li 2.12
17 F 0.7127 0.2200 0.0298  1 Mn 1.91
18 F 0.7127 0.2800 0.5298  1 Mn 1.91
19 F 0.8343 0.7111 0.0304  1 Li 1.99, 1 Mn 2.13
20 F 0.8343 0.7889 0.5304  1 Li 1.99, 1 Mn 2.13

Computed properties:
**Uncorrected energy**: -4.603 eV per atom
**SG**: No. 14
**Magnetization**: 0.39 μB per atom

No. 3
The following is a GGA+U calculation of a relaxed structure of LiMnAgF6, from the Alexandria database.

Unit cell a=4.9403 b=4.9403 c=9.7785 alpha=90.00 beta=90.00 gamma=90.00
Closest atoms and distances in Å follow each position.
Positions (direct):
1 Li 0.0000 0.0000 0.0000  6 F 2.14-2.23
____________
12. The staff and their reaction, fear, the firing? Their wanting to escape? Ben and his anxiety, the old man his son? The son not owning up to the truth about Donna? Their all speaking to the media and praising Joey? Larry, his madness, the reasons, American loudness and style, crazy, being shot?
13. Donna, being shot, recovering, reaction to Larry, her affair?
14. The whole experience transforming Joey? giving him a chance to take stock of himself? His future?